M INNESOTA STATE U NIVERSITY, M ANKATO STC STUDENT CHAPTER MEETING A PRIL 18, 2009 Lee S. Tesdell, Minnesota State University, Mankato faculty and Fulbright scholar at Birzeit University’s Center for Continuing Education
FROM BIRZEIT UNIVERSITY Where have I been? 1. Hochschule Karlsruhe (University of Applied Sciences), Karlsruhe, Germany To visit Juergen Muthig and the technical communication program there. 2. Bengalooru (Bangalore), India To visit Rajdeep Gupta and others in the technical writing industry. 3. Birzeit University, Birzeit, Palestine To work at the Center for Continuing Education.
┌──
Below is 3 unconnected molecules or ions with the total composition C30H21BO6P in a non-equilibrium geometry, with properties calculated with ωB97M-V with the def2-TZVPD basis set.

LUMO (Ha): -0.19731
HOMO energy (eV): -11.12
Strongest force on any atom (eV/Å): 10.4
Kohn-Sham gap (eV): 5.75
Charge: +1

Each atom is followed by the atoms it is bonded to, with distances in Å.
Geometry (Å):
1 C 5.2389 -6.5569 2.9714  C2 1.428, H7 1.194
2 C 4.0703 -5.7809 3.2371  C1 1.428, P3 1.948
3 P 2.3428 -4.9148 3.4862  C2 1.948, B4 1.952, H8 1.469, H9 1.445
4 B 0.9620 -6.2745 3.2556  P3 1.952, O5 1.503, O6 1.478
5 O -0.1920 -6.1062 2.3070  B4 1.503, H10 1.022
6 O 1.1297 -7.5139 4.0428  B4 1.478, H11 1.011
7 H 5.9910 -7.2324 2.3361  C1 1.194
8 H 2.2088 -3.9916 2.3521  P3 1.469
9 H 2.2661 -4.2506 4.7676  P3 1.445
10 H 0.1556 -5.5837 1.5004  O5 1.022
11 H 1.8440 -8.0941 3.6235  O6 1.011
12 C 2.3951 3.1675 2.9556  C13 1.395, C17 1.396, H28 1.088
13 C 1.8531 2.0290 3.5517  C12 1.395, C14 1.396, H29 1.088
14 C 1.6712 0.8668 2.8004  C13 1.396, C15 1.400, H30 1.089
15 C 2.0213 0.8464 1.4448  C14 1.400, C16 1.394, C26 1.476
16 C 2.5401 1.9921 0.8430  C15 1.394, C17 1.401, C18 1.477
17 C 2.7384 3.1522 1.6030  C12 1.396, C16 1.401, H31 1.089
18 C 2.8665 1.9971 -0.5977  C16 1.477, O19 1.225, C20 1.477
19 O 3.3256 3.0021 -1.1264  C18 1.225
20 C 2.6233 0.7773 -1.3933  C18 1.477, C21 1.401, C25 1.394
21 C 2.8738 0.7863 -2.7717  C20 1.401, C22 1.397, H32 1.089
22 C 2.6593 -0.3672 -3.5292  C21 1.397, C23 1.395, H33 1.088
23 C 2.2042 -1.5324 -2.9127  C22 1.395, C24 1.396, H34 1.088
24 C 1.9485 -1.5426 -1.5407  C23 1.396, C25 1.401, H35 1.089
25 C 2.1494 -0.3822 -0.7814  C20 1.394, C24 1.401, C26 1.476
26 C 1.8420 -0.3928 0.6624  C15 1.476, C25 1.476, O27 1.226
27 O 1.4377 -1.4152 1.2042  C26 1.226
28 H 2.5454 4.0704 3.5433  C12 1.088
29 H 1.5737 2.0450 4.6028  C13 1.088
30 H 1.2525 -0.0197 3.2737  C14 1.089
31 H 3.1558 4.0462 1.1431  C17 1.089
32 H 3.2323 1.6910 -3.2602  C21 1.089
33 H 2.8494 -0.3565 -4.6003  C22 1.088
34 H 2.0439 -2.4332 -3.5012  C23 1.088
35 H 1.5888 -2.4546 -1.0672  C24 1.089
36 C -5.8535 -0.7915 -2.1980  C37 1.395, C41 1.396, H52 1.088
37 C -6.5423 -0.0919 -1.2074  C36 1.395, C38 1.396, H53 1.088
38 C -5.9825 1.0571 -0.6465  C37 1.396, C39 1.400, H54 1.089
39 C -4.7237 1.5016 -1.0688  C38 1.400, C40 1.394, C50 1.476
40 C -4.0244 0.7883 -2.0415  C39 1.394, C41 1.401, C42 1.477
41 C -4.5956 -0.3547 -2.6160  C36 1.396, C40 1.401, H55 1.089
42 C -2.6747 1.2198 -2.4590  C40 1.477, O43 1.225, C44 1.477
43 O -2.0612 0.5958 -3.3159  C42 1.225
44 C -2.0720 2.4082 -1.8229  C42 1.477, C45 1.401, C49 1.394
45 C -0.7702 2.7946 -2.1673  C44 1.401, C46 1.397, H56 1.089
46 C -0.1976 3.9251 -1.5803  C45 1.397, C47 1.395, H57 1.088
47 C -0.9247 4.6762 -0.6573  C46 1.395, C48 1.396, H58 1.088
48 C -2.2197 4.2904 -0.3082  C47 1.396, C49 1.401, H59 1.089
49 C -2.7906 3.1482 -0.8851  C44 1.394, C48 1.401, C50 1.476
50 C -4.1473 2.7280 -0.4826  C39 1.476, C49 1.476, O51 1.226
└──
(So much for the records of molecules)
FROM BIRZEIT UNIVERSITY Where am I? 1. I have two workplaces: Ramallah offices of the Center for Continuing Education and Birzeit University campus office of the Unit for Innovative Learning. 1. Ramallah is 20 kms north of Jerusalem 2. Birzeit is 30 kms north of Jerusalem 3. They are both located in the Palestinian Territories also known as the West Bank.
Attached: quantum chemistry results
[1]
The following is a DFT calculation (the ωB97M-V functional and the def2-TZVPD basis) of C27H41Cl3CuN3O3Si as an isolated structure in a non-equilibrium geometry.

Last column: Löwdin spin population.
Element x y z (Å)
1 C -2.072089 6.837598 -0.450494  0.000
2 C -1.751325 7.372755 -1.806909  0.000
3 H -1.473171 7.324951 0.325851  0.000
4 H -1.904718 5.757491 -0.406109  0.000
5 H -3.123714 7.028889 -0.203526  0.000
6 C -1.537176 8.685716 -2.021796  0.000
7 C -1.558938 9.748052 -0.965419  0.000
8 H -1.392476 9.058611 -3.037890  0.000
9 H -0.970079 9.451359 -0.079599  0.000
10 H -2.586084 9.988871 -0.638053  0.000
11 H -1.127794 10.682354 -1.359372  0.000
12 Cu -1.731432 3.135242 -3.661071  0.001
13 Cl -0.708568 1.308800 -4.164628  0.000
14 Cl -3.672822 3.678713 -2.986810  0.000
15 H 2.807181 -2.290426 -1.315057  0.000
16 H 0.639732 -4.078572 -0.628987  0.000
17 C 2.467949 -1.988773 -0.314989  0.000
18 C 0.408571 -3.298728 0.117008  0.000
19 N 1.021619 -2.031410 -0.244621  0.000
20 H 2.813207 -0.965799 -0.122001  0.000
21 C 0.362125 -1.108801 -1.016880  0.000
22 O 0.958961 -0.331580 -1.758711  0.000
23 H -0.677792 -3.190455 0.210642  0.000
24 H -0.742188 -1.106292 -0.878871  0.000
25 H 2.873907 -2.669851 0.434487  0.000
26 H 0.792422 -3.637864 1.092354  0.000
27 H 0.704757 3.731501 2.574445  -0.001
28 H 3.031394 5.080112 0.334332  0.000
29 C 1.769691 3.732681 2.842641  -0.001
30 C 3.521356 4.431061 1.086957  0.014
31 N 2.581883 3.454864 1.658424  0.033
32 H 1.902457 2.937546 3.583940  0.000
33 C 2.417963 2.274058 1.030873  0.199
34 O 3.147236 1.712378 0.246276  0.222
35 H 4.329950 3.869413 0.597717  0.003
36 H 1.349649 1.800685 1.303649  0.066
37 H 2.054753 4.688159 3.279680  0.000
38 H 3.924961 5.061262 1.885444  0.001
39 O -1.078357 5.154021 -2.585721  0.000
40 C -1.739713 6.360206 -2.954928  0.000
41 C 0.022126 7.597813 -4.349274  0.000
42 C -1.213895 6.943547 -4.249921  0.000
43 H 0.640889 7.765123 -3.460330  0.000
44 C 0.431296 8.115099 -5.589862  0.000
45 H -2.779585 6.027256 -3.073388  0.000
46 C -2.043252 6.836186 -5.367472  0.000
47 H 1.401731 8.622975 -5.650741  0.000
48 C -0.400892 8.014919 -6.707434  0.000
49 C -1.639150 7.376393 -6.592510  0.000
50 H -3.016386 6.346189 -5.228042  0.000
51 H -0.072169 8.405482 -7.672039  0.000
52 H -2.322871 7.293306 -7.445495  0.000
53 Si 0.359461 4.264473 -2.949453  0.000
54 Cl -0.130624 2.070628 1.007385  0.455
55 C 1.908288 5.180687 -2.551776  0.000
56 C 0.354140 4.218678 -4.858436  0.000
57 C 0.117377 2.809914 -1.826761  0.003
58 H 2.119274 5.938593 -3.318481  0.000
59 H 2.743020 4.460074 -2.553147  0.000
60 H 1.882114 5.673363 -1.571995  0.000
61 H 0.513890 3.231897 -0.875774  -0.001
62 H 0.669230 1.894910 -2.086980  0.000
63 H -0.919379 2.522759 -1.582172  0.004
64 H 0.614056 5.224938 -5.217762  0.000
65 H -0.544157 3.930428 -5.425393  0.000
66 H 1.151518 3.533027 -5.157961  0.000
67 N -3.090966 -0.816616 1.737478  0.000
68 C -2.605831 -1.797436 2.165729  0.000
FROM BIRZEIT UNIVERSITY What am I doing here? These are my three objectives: 1. I will work with Marwan Tarazi, Director of the Center, to design curriculum for teaching technical communication online which will benefit e-learning at both universities. 2. I will work to foster long-term e-learning connections between Minnesota State University, Mankato and Birzeit University. 3. Together we will research and write a scholarly publication about online pedagogy.
# C48H38IMgN5O2P

C48H38IMgN5O2P as an isolated structure (ωB97M-V with the def2-TZVPD basis set, the Open Molecules 2025 dataset).

Geometry as XYZ:
```
96
Properties=species:S:1:pos:R:3
Mg 0.7703 0.7313 1.0866
C -0.6825 -1.8866 1.6778
N 0.6829 -1.3438 1.8325
C 0.9950 -1.1502 3.2651
C 2.1951 -0.2611 3.4919
C 2.9251 -0.3367 4.6680
C 3.9554 0.5655 4.8699
C 4.2386 1.4990 3.8844
C 3.4723 1.4922 2.7340
N 2.4671 0.6371 2.5423
C 1.7002 -2.1799 1.1696
C 2.6245 -1.4490 0.2141
C 3.7287 -2.1234 -0.2860
C 4.6040 -1.4620 -1.1248
C 4.3549 -0.1340 -1.4347
C 3.2319 0.4615 -0.9000
N 2.3690 -0.1793 -0.1016
C -1.7341 -0.8246 1.4756
C -3.0230 -1.0105 1.9496
C -3.9857 -0.0625 1.6606
C -3.6278 1.0434 0.9038
C -2.3170 1.1585 0.4855
N -1.3805 0.2450 0.7607
H -0.9523 -2.5192 2.5284
H -0.7064 -2.5160 0.7844
H 1.1543 -2.1201 3.7511
H 0.1261 -0.6797 3.7380
H 2.6819 -1.0833 5.4124
H 4.5333 0.5392 5.7842
H 5.0355 2.2188 4.0037
H 3.6519 2.2012 1.9345
H 1.2103 -2.9815 0.6118
H 2.3229 -2.6703 1.9240
H 3.8934 -3.1584 -0.0131
H 5.4668 -1.9722 -1.5315
H 5.0176 0.4328 -2.0724
H 3.0148 1.5009 -1.1089
H -3.2577 -1.8839 2.5430
H -4.9973 -0.1781 2.0264
H -4.3433 1.8145 0.6558
H -1.9918 2.0196 -0.0851
I 0.2803 2.2745 -1.8569
C -1.3831 2.0485 -3.1290
C -1.9731 3.2514 -3.4085
C -3.0446 3.3440 -4.3180
C -3.4713 2.2180 -4.9470
C -2.8856 0.9581 -4.6672
C -3.3621 -0.1718 -5.3707
C -2.8431 -1.4093 -5.1393
C -1.8626 -1.5558 -4.1467
C -1.3705 -0.4982 -3.4176
P -0.2110 -0.9755 -2.0431
C -1.2603 -2.2675 -1.2564
C -0.9643 -3.6143 -1.0680
C -1.8183 -4.4356 -0.3366
C -2.9818 -3.9270 0.2147
C -3.2949 -2.5856 0.0247
C -2.4412 -1.7679 -0.6938
C 1.0899 -1.7933 -3.0451
C 1.4324 -1.1939 -4.2633
C 2.4836 -1.6735 -5.0266
C 3.2164 -2.7726 -4.5968
C 2.9046 -3.3620 -3.3833
C 1.8672 -2.8629 -2.6057
C -1.8379 0.8230 -3.7039
H -1.5979 4.1526 -2.9441
H -3.4936 4.3065 -4.5208
H -4.2706 2.2585 -5.6762
H -4.1480 -0.0254 -6.1011
H -3.1928 -2.2736 -5.6872
H -1.4955 -2.5529 -3.9336
H -0.0895 -4.0603 -1.5172
H -1.5724 -5.4827 -0.2139
H -3.6479 -4.5699 0.7746
H -4.2078 -2.1756 0.4380
H -2.6995 -0.7218 -0.8295
H 0.8611 -0.3492 -4.6282
H 2.7206 -1.1969 -5.9691
H 4.0217 -3.1643 -5.2043
H 3.4752 -4.2122 -3.0298
H 1.6902 -3.3149 -1.6391
O 1.0865 3.0213 1.2015
C 0.3895 2.9694 2.2348
N -0.0523 1.7848 2.6925
C -0.8273 1.9877 3.8197
O -1.3697 1.1164 4.4650
C -0.8477 3.4713 4.0962
C -1.4404 4.2037 5.0991
C -1.2398 5.5846 5.0856
C -0.4689 6.1912 4.0996
C 0.1288 5.4394 3.0884
C -0.0794 4.0779 3.1127
H -2.0349 3.7231 5.8646
H -1.6898 6.1968 5.8560
H -0.3308 7.2641 4.1193
H 0.7297 5.9059 2.3190
```

Summary:
- ΔE to the lowest compared entry with this formula, charge and spin: 89.6 kJ/mol
- Kohn-Sham gap: 8.02 eV
- Net charge: +1
- LUMO energy: -1.95 eV
- Strongest force on any atom: 1.44 eV/A
- Calculated total energy: -3115.31873 a.u.

Atom charges from the Mulliken analysis, given in e for atoms 1 to 2: number 1, Mg, carries 3.32; number 2, C, carries -0.54
FROM BIRZEIT UNIVERSITY What am I doing here? Objective one: I will work with Marwan Tarazi, Director of the Center, to design curriculum for teaching technical communication online which will benefit e-learning at both universities. So what have I done so far? I have helped to teach several units in short courses: Two units on e-learning to Training of Trainers course Four units on report writing to Stepping Stones (6ECs) course One unit (and three more to come) on professional writing to center staff. I have studied the Center’s use of “e-enabled” learning strategies in Moodle and compared it to our use of 100% online learning at MSU with D2L and Adobe Connect.
FROM BIRZEIT UNIVERSITY What am I doing here? Objective two: I will work to foster long-term e-learning connections between Minnesota State University, Mankato and Birzeit University. So what have I done so far? I am working to facilitate a Memo of Understanding between our two universities. I have helped several colleagues at the center to complete applications for short courses in the United States. I have discussed strengthening the Fulbright program with personnel at the U.S. Consulate in Jerusalem. I met with Laura Alami of the U.S. State Department in this regard. I have encouraged several students to investigate M.A. degree courses at MSU.
FROM BIRZEIT UNIVERSITY What am I doing here? Objective three: Together we will research and write a scholarly publication about online pedagogy. So what have I done so far? We have published a paper and presentation here: What is the state of online pedagogy in Palestinian universities? by Lee S. Tesdell, Ph.D. and Osama Mimi, Ph.D. V International Conference on Multimedia and ICT in Education (m- ICTE2009), April 22-24, 2009, Lisbon, I am currently conducting further research into the potential for e-learning at Palestinian universities.